### Contents
- - -
Entry 1:
# La6Tb2Ho

A relaxed structure of La6Tb2Ho (PBE-GGA, the Alexandria database).

Structure (POSCAR):
```
La6Tb2Ho
1.0
4.7579 -8.9669 0.0000
4.7579 8.9669 0.0000
0.0000 0.0000 3.7003
La Tb Ho
6 2 1
Direct
0.0062 0.3375 0.0000 La
0.1791 0.1791 0.5000 La
0.3375 0.0062 0.0000 La
0.6625 0.9938 0.0000 La
0.8209 0.8209 0.5000 La
0.9938 0.6625 0.0000 La
0.3281 0.6719 0.5000 Tb
0.6719 0.3281 0.5000 Tb
0.5000 0.5000 0.0000 Ho
```

Results
crystal system: orthorhombic
calculated density: 6.9 Mg/m³
ΔE_f: 1.06 eV/f.u.
total DFT energy (no corrections): -4.7051 eV per atom
Fermi-level density of states: 13.3 states/eV/f.u.



Entry 2:
# KSbTe2

A relaxed structure of KSbTe2 (PBE-GGA, the Alexandria database).

Structure (POSCAR):
```
KSbTe2
1.0
7.9724 0.0000 0.0000
0.0000 7.9724 0.0000
0.0000 0.0000 7.9724
K Sb Te
4 4 8
Direct
0.0000 0.0000 0.0000 K
0.0000 0.5000 0.5000 K
0.5000 0.0000 0.5000 K
0.5000 0.5000 0.0000 K
0.2500 0.2500 0.7500 Sb
0.2500 0.7500 0.2500 Sb
0.7500 0.2500 0.2500 Sb
0.7500 0.7500 0.7500 Sb
0.0000 0.0000 0.5000 Te
0.0000 0.5000 0.0000 Te
0.2500 0.2500 0.2500 Te
0.2500 0.7500 0.7500 Te
0.5000 0.0000 0.0000 Te
0.5000 0.5000 0.5000 Te
0.7500 0.2500 0.7500 Te
0.7500 0.7500 0.2500 Te
```

Results
crystal system: cubic
calculated density: 5.5 Mg/m³
uncorrected formation energy: 0.0685 eV/atom
total DFT energy (no corrections): -2.8073 eV per atom
Fermi-level density of states: 3.4 states/eV/f.u.



Entry 3:
# Ca2YAl2Pd5

A relaxed structure of Ca2YAl2Pd5 (PBE-GGA, the Alexandria database).

Structure (POSCAR):
```
Ca2YAl2Pd5
1.0
10.1399 0.0000 0.0000
0.0000 10.1399 0.0000
0.0000 0.0000 3.7798
Ca Y Al Pd
4 2 4 10
Direct
0.1767 0.3233 0.0000 Ca
0.3233 0.8233 0.0000 Ca
0.6767 0.1767 0.0000 Ca
0.8233 0.6767 0.0000 Ca
0.0000 0.0000 0.0000 Y
0.5000 0.5000 0.0000 Y
0.1184 0.6184 0.0000 Al
0.3816 0.1184 0.0000 Al
0.6184 0.8816 0.0000 Al
0.8816 0.3816 0.0000 Al
0.0000 0.5000 0.5000 Pd
0.0692 0.7819 0.5000 Pd
0.2181 0.0692 0.5000 Pd
0.2819 0.5692 0.5000 Pd
0.4308 0.2819 0.5000 Pd
0.5000 0.0000 0.5000 Pd
0.5692 0.7181 0.5000 Pd
0.7181 0.4308 0.5000 Pd
0.7819 0.9308 0.5000 Pd
0.9308 0.2181 0.5000 Pd
```

Results
crystal system: tetragonal
calculated density: 6.5 Mg/m³
ΔE_f: -7.96 eV/f.u.
total DFT energy (no corrections): -5.1873 eV per atom
Fermi-level density of states: 4.2 states/eV/f.u.



Entry 4:
# TlCdRu2

A relaxed structure of TlCdRu2 (PBE-GGA, the Alexandria database).

Structure (POSCAR):
```
TlCdRu2
1.0
3.0701 0.0000 0.0000
0.0000 4.3860 0.0000
-1.5341 0.0000 5.4686
Tl Cd Ru
1 1 2
Direct
0.0000 0.0000 0.0000 Tl
0.6515 0.5000 0.3037 Cd
0.2711 0.0000 0.5399 Ru
0.3697 0.5000 0.7452 Ru
```

Results
crystal system: monoclinic
calculated density: 11.7 Mg/m³
ΔE_f: 2.06 eV/f.u.
total DFT energy (no corrections): -4.9425 eV per atom
Fermi-level density of states: 3.9 states/eV/f.u.



Entry 5:
# BeTc2Hg

A relaxed structure of BeTc2Hg (PBE-GGA, the Alexandria database).

Structure (POSCAR):
```
BeTc2Hg
1.0
3.7180 0.0000 0.0000
0.0000 3.7180 0.0000
0.0000 0.0000 18.9032
Be Tc Hg
4 8 4
Direct
0.0000 0.0000 0.0000 Be
0.0000 0.5000 0.2500 Be
0.5000 0.0000 0.7500 Be
0.5000 0.5000 0.5000 Be
0.1940 0.2500 0.1250 Tc
0.2500 0.6940 0.3750 Tc
0.2500 0.8060 0.8750 Tc
0.3060 0.2500 0.6250 Tc
0.6940 0.7500 0.6250 Tc
0.7500 0.1940 0.8750 Tc
0.7500 0.3060 0.3750 Tc
0.8060 0.7500 0.1250 Tc
0.0000 0.0000 0.5000 Hg
0.0000 0.5000 0.7500 Hg
0.5000 0.0000 0.2500 Hg
0.5000 0.5000 0.0000 Hg
```

Results
crystal system: tetragonal
calculated density: 10.3 Mg/m³
ΔE_f: 2.75 eV/f.u.
energy above the most stable polymorph in this dataset: 0.5514 eV per atom
total DFT energy (no corrections): -5.5024 eV per atom
Fermi-level density of states: 2.9 states/eV/f.u.



Entry 6:
# InGaTeI2

A relaxed structure of InGaTeI2 (PBE-GGA, the Alexandria database).

Structure (POSCAR):
```
InGaTeI2
1.0
5.8163 0.0000 0.0000
0.0000 5.8163 0.0000
0.0000 0.0000 5.5388
In Ga Te I
1 1 1 2
Direct
0.0000 0.0000 0.0000 In
0.5000 0.5000 0.5000 Ga
0.5000 0.5000 0.0000 Te
- - -

### To do
The reader should find the line earlier on that holds "0.5399 Ru", then set down that line and all lines after it there.

### Worked solution
0.2711 0.0000 0.5399 Ru
0.3697 0.5000 0.7452 Ru
```

Results
crystal system: monoclinic
calculated density: 11.7 Mg/m³
ΔE_f: 2.06 eV/f.u.
total DFT energy (no corrections): -4.9425 eV per atom
Fermi-level density of states: 3.9 states/eV/f.u.



Entry 5:
# BeTc2Hg

A relaxed structure of BeTc2Hg (PBE-GGA, the Alexandria database).

Structure (POSCAR):
```
BeTc2Hg
1.0
3.7180 0.0000 0.0000
0.0000 3.7180 0.0000
0.0000 0.0000 18.9032
Be Tc Hg
4 8 4
Direct
0.0000 0.0000 0.0000 Be
0.0000 0.5000 0.2500 Be
0.5000 0.0000 0.7500 Be
0.5000 0.5000 0.5000 Be
0.1940 0.2500 0.1250 Tc
0.2500 0.6940 0.3750 Tc
0.2500 0.8060 0.8750 Tc
0.3060 0.2500 0.6250 Tc
0.6940 0.7500 0.6250 Tc
0.7500 0.1940 0.8750 Tc
0.7500 0.3060 0.3750 Tc
0.8060 0.7500 0.1250 Tc
0.0000 0.0000 0.5000 Hg
0.0000 0.5000 0.7500 Hg
0.5000 0.0000 0.2500 Hg
0.5000 0.5000 0.0000 Hg
```

Results
crystal system: tetragonal
calculated density: 10.3 Mg/m³
ΔE_f: 2.75 eV/f.u.
energy above the most stable polymorph in this dataset: 0.5514 eV per atom
total DFT energy (no corrections): -5.5024 eV per atom
Fermi-level density of states: 2.9 states/eV/f.u.



Entry 6:
# InGaTeI2

A relaxed structure of InGaTeI2 (PBE-GGA, the Alexandria database).

Structure (POSCAR):
```
InGaTeI2
1.0
5.8163 0.0000 0.0000
0.0000 5.8163 0.0000
0.0000 0.0000 5.5388
In Ga Te I
1 1 1 2
Direct
0.0000 0.0000 0.0000 In
0.5000 0.5000 0.5000 Ga
0.5000 0.5000 0.0000 Te